┌──
[1]
# LiHoMgS3, optimized geometry, DFT PBE
# Total energy, eV per cell: -60.292
# E above lowest polymorph, meV/atom: 0
# Crystal system: monoclinic
# Magnetic moment, μB/f.u.: 0.00
# Space group: No. 11
data_LiHoMgS3
_cell_length_a 7.362
_cell_length_b 3.911
_cell_length_c 10.472
_cell_angle_alpha 90.00
_cell_angle_beta 104.07
_cell_angle_gamma 90.00
_space_group_name_H-M_alt 'P 1'
_space_group_IT_number 1
_space_group_name_Hall 'P 1'
loop_
_atom_site_label
_atom_site_type_symbol
_atom_site_fract_x
_atom_site_fract_y
_atom_site_fract_z
Li1 Li 0.160 0.250 0.101
Li2 Li 0.840 0.750 0.899
Ho1 Ho 0.335 0.750 0.855
Ho2 Ho 0.665 0.250 0.145
Mg1 Mg 0.037 0.250 0.617
Mg2 Mg 0.963 0.750 0.383
S1 S 0.067 0.250 0.853
S2 S 0.220 0.750 0.583
S3 S 0.407 0.750 0.124
S4 S 0.593 0.250 0.876
S5 S 0.780 0.250 0.417
S6 S 0.933 0.750 0.147

[2]
# LiHoMgSe3, optimized geometry, DFT PBE
# Total energy, eV per cell: -54.709
# E above lowest polymorph, meV/atom: 0
# Crystal system: monoclinic
# Magnetic moment, μB/f.u.: 0.00
# Space group: No. 11
data_LiHoMgSe3
_cell_length_a 7.752
_cell_length_b 4.084
_cell_length_c 10.742
_cell_angle_alpha 90.00
_cell_angle_beta 104.55
_cell_angle_gamma 90.00
_space_group_name_H-M_alt 'P 1'
_space_group_IT_number 1
_space_group_name_Hall 'P 1'
loop_
_atom_site_label
_atom_site_type_symbol
_atom_site_fract_x
_atom_site_fract_y
_atom_site_fract_z
Li1 Li 0.166 0.250 0.108
Li2 Li 0.834 0.750 0.892
Ho1 Ho 0.332 0.750 0.856
Ho2 Ho 0.668 0.250 0.144
Mg1 Mg 0.052 0.250 0.613
Mg2 Mg 0.948 0.750 0.387
Se1 Se 0.065 0.250 0.854
Se2 Se 0.235 0.750 0.575
Se3 Se 0.411 0.750 0.131
Se4 Se 0.589 0.250 0.869
Se5 Se 0.765 0.250 0.425
Se6 Se 0.935 0.750 0.146

[3]
# LiHoMgSe3, optimized geometry, DFT PBE
# Total energy, eV per cell: -53.750
# E above lowest polymorph, meV/atom: 80
# Crystal system: orthorhombic
# Magnetic moment, μB/f.u.: 0.01
# Space group: No. 63
data_LiHoMgSe3
_cell_length_a 6.868
_cell_length_b 6.868
_cell_length_c 11.233
_cell_angle_alpha 90.00
_cell_angle_beta 90.00
_cell_angle_gamma 145.65
_space_group_name_H-M_alt 'P 1'
_space_group_IT_number 1
_space_group_name_Hall 'P 1'
loop_
_atom_site_label
_atom_site_type_symbol
_atom_site_fract_x
_atom_site_fract_y
_atom_site_fract_z
Li1 Li 0.249 0.751 0.750
Li2 Li 0.751 0.249 0.250
Ho1 Ho 0.500 0.500 0.000
Ho2 Ho 0.500 0.500 0.500
Mg1 Mg 0.025 0.975 0.250
Mg2 Mg 0.975 0.025 0.750
Se1 Se 0.139 0.861 0.071
Se2 Se 0.139 0.861 0.429
Se3 Se 0.405 0.595 0.250
Se4 Se 0.595 0.405 0.750
Se5 Se 0.861 0.139 0.571
Se6 Se 0.861 0.139 0.929

[4]
# Li5Ho3N3, optimized geometry, DFT PBE
# Total energy, eV per cell: -54.644
# Crystal system: hexagonal
# Magnetic moment, μB/f.u.: 0.01
# Space group: No. 189
data_Li5Ho3N3
_cell_length_a 6.511
_cell_length_b 6.511
_cell_length_c 4.523
_cell_angle_alpha 90.00
_cell_angle_beta 90.00
_cell_angle_gamma 120.00
_space_group_name_H-M_alt 'P 1'
_space_group_IT_number 1
_space_group_name_Hall 'P 1'
loop_
_atom_site_label
_atom_site_type_symbol
_atom_site_fract_x
_atom_site_fract_y
_atom_site_fract_z
Li1 Li 0.000 0.286 0.000
Li2 Li 0.286 0.000 0.000
Li3 Li 0.333 0.667 0.000
Li4 Li 0.667 0.333 0.000
Li5 Li 0.714 0.714 0.000
Ho1 Ho 0.000 0.661 0.500
Ho2 Ho 0.339 0.339 0.500
Ho3 Ho 0.661 0.000 0.500
N1 N 0.000 0.623 0.000
N2 N 0.377 0.377 0.000
N3 N 0.623 0.000 0.000

[5]
# LiHoNO, optimized geometry, DFT PBE
# Total energy, eV per cell: -101.736
# E above lowest polymorph, meV/atom: 145
# Crystal system: orthorhombic
# Magnetic moment, μB/f.u.: 0.92
# Space group: No. 29
data_LiHoNO
_cell_length_a 5.932
_cell_length_b 7.342
_cell_length_c 4.767
_cell_angle_alpha 90.00
_cell_angle_beta 90.00
_cell_angle_gamma 90.00
_space_group_name_H-M_alt 'P 1'
_space_group_IT_number 1
_space_group_name_Hall 'P 1'
loop_
_atom_site_label
_atom_site_type_symbol
_atom_site_fract_x
_atom_site_fract_y
_atom_site_fract_z
Li1 Li 0.077 0.093 0.000
Li2 Li 0.423 0.093 0.500
Li3 Li 0.577 0.907 0.000
Li4 Li 0.923 0.907 0.500
Ho1 Ho 0.041 0.665 0.009
Ho2 Ho 0.459 0.665 0.509
└──
Could you reproduce everything earlier on without additions?
[1]
# LiHoMgS3, optimized geometry, DFT PBE
# Total energy, eV per cell: -60.292
# E above lowest polymorph, meV/atom: 0
# Crystal system: monoclinic
# Magnetic moment, μB/f.u.: 0.00
# Space group: No. 11
data_LiHoMgS3
_cell_length_a 7.362
_cell_length_b 3.911
_cell_length_c 10.472
_cell_angle_alpha 90.00
_cell_angle_beta 104.07
_cell_angle_gamma 90.00
_space_group_name_H-M_alt 'P 1'
_space_group_IT_number 1
_space_group_name_Hall 'P 1'
loop_
_atom_site_label
_atom_site_type_symbol
_atom_site_fract_x
_atom_site_fract_y
_atom_site_fract_z
Li1 Li 0.160 0.250 0.101
Li2 Li 0.840 0.750 0.899
Ho1 Ho 0.335 0.750 0.855
Ho2 Ho 0.665 0.250 0.145
Mg1 Mg 0.037 0.250 0.617
Mg2 Mg 0.963 0.750 0.383
S1 S 0.067 0.250 0.853
S2 S 0.220 0.750 0.583
S3 S 0.407 0.750 0.124
S4 S 0.593 0.250 0.876
S5 S 0.780 0.250 0.417
S6 S 0.933 0.750 0.147

[2]
# LiHoMgSe3, optimized geometry, DFT PBE
# Total energy, eV per cell: -54.709
# E above lowest polymorph, meV/atom: 0
# Crystal system: monoclinic
# Magnetic moment, μB/f.u.: 0.00
# Space group: No. 11
data_LiHoMgSe3
_cell_length_a 7.752
_cell_length_b 4.084
_cell_length_c 10.742
_cell_angle_alpha 90.00
_cell_angle_beta 104.55
_cell_angle_gamma 90.00
_space_group_name_H-M_alt 'P 1'
_space_group_IT_number 1
_space_group_name_Hall 'P 1'
loop_
_atom_site_label
_atom_site_type_symbol
_atom_site_fract_x
_atom_site_fract_y
_atom_site_fract_z
Li1 Li 0.166 0.250 0.108
Li2 Li 0.834 0.750 0.892
Ho1 Ho 0.332 0.750 0.856
Ho2 Ho 0.668 0.250 0.144
Mg1 Mg 0.052 0.250 0.613
Mg2 Mg 0.948 0.750 0.387
Se1 Se 0.065 0.250 0.854
Se2 Se 0.235 0.750 0.575
Se3 Se 0.411 0.750 0.131
Se4 Se 0.589 0.250 0.869
Se5 Se 0.765 0.250 0.425
Se6 Se 0.935 0.750 0.146

[3]
# LiHoMgSe3, optimized geometry, DFT PBE
# Total energy, eV per cell: -53.750
# E above lowest polymorph, meV/atom: 80
# Crystal system: orthorhombic
# Magnetic moment, μB/f.u.: 0.01
# Space group: No. 63
data_LiHoMgSe3
_cell_length_a 6.868
_cell_length_b 6.868
_cell_length_c 11.233
_cell_angle_alpha 90.00
_cell_angle_beta 90.00
_cell_angle_gamma 145.65
_space_group_name_H-M_alt 'P 1'
_space_group_IT_number 1
_space_group_name_Hall 'P 1'
loop_
_atom_site_label
_atom_site_type_symbol
_atom_site_fract_x
_atom_site_fract_y
_atom_site_fract_z
Li1 Li 0.249 0.751 0.750
Li2 Li 0.751 0.249 0.250
Ho1 Ho 0.500 0.500 0.000
Ho2 Ho 0.500 0.500 0.500
Mg1 Mg 0.025 0.975 0.250
Mg2 Mg 0.975 0.025 0.750
Se1 Se 0.139 0.861 0.071
Se2 Se 0.139 0.861 0.429
Se3 Se 0.405 0.595 0.250
Se4 Se 0.595 0.405 0.750
Se5 Se 0.861 0.139 0.571
Se6 Se 0.861 0.139 0.929

[4]
# Li5Ho3N3, optimized geometry, DFT PBE
# Total energy, eV per cell: -54.644
# Crystal system: hexagonal
# Magnetic moment, μB/f.u.: 0.01
# Space group: No. 189
data_Li5Ho3N3
_cell_length_a 6.511
_cell_length_b 6.511
_cell_length_c 4.523
_cell_angle_alpha 90.00
_cell_angle_beta 90.00
_cell_angle_gamma 120.00
_space_group_name_H-M_alt 'P 1'
_space_group_IT_number 1
_space_group_name_Hall 'P 1'
loop_
_atom_site_label
_atom_site_type_symbol
_atom_site_fract_x
_atom_site_fract_y
_atom_site_fract_z
Li1 Li 0.000 0.286 0.000
Li2 Li 0.286 0.000 0.000
Li3 Li 0.333 0.667 0.000
Li4 Li 0.667 0.333 0.000
Li5 Li 0.714 0.714 0.000
Ho1 Ho 0.000 0.661 0.500
Ho2 Ho 0.339 0.339 0.500
Ho3 Ho 0.661 0.000 0.500
N1 N 0.000 0.623 0.000
N2 N 0.377 0.377 0.000
N3 N 0.623 0.000 0.000

[5]
# LiHoNO, optimized geometry, DFT PBE
# Total energy, eV per cell: -101.736
# E above lowest polymorph, meV/atom: 145
# Crystal system: orthorhombic
# Magnetic moment, μB/f.u.: 0.92
# Space group: No. 29
data_LiHoNO
_cell_length_a 5.932
_cell_length_b 7.342
_cell_length_c 4.767
_cell_angle_alpha 90.00
_cell_angle_beta 90.00
_cell_angle_gamma 90.00
_space_group_name_H-M_alt 'P 1'
_space_group_IT_number 1
_space_group_name_Hall 'P 1'
loop_
_atom_site_label
_atom_site_type_symbol
_atom_site_fract_x
_atom_site_fract_y
_atom_site_fract_z
Li1 Li 0.077 0.093 0.000
Li2 Li 0.423 0.093 0.500
Li3 Li 0.577 0.907 0.000
Li4 Li 0.923 0.907 0.500
Ho1 Ho 0.041 0.665 0.009
Ho2 Ho 0.459 0.665 0.509